This part of the article deals with different options that are available on the website The vary first thing that you will see on the website is that there are four different tabs available that have headings such as learning to drive, about, driving school services and lessons pricing and packages. There are different packages available on the website that suit the needs of the learners. All these packages have different price ranges. There are also two different options available for taking a fixed number of lessons in advance. There is a different price or payment if the number of lessons are less and there is a different price or payment if the number of lessons are more than the previous one. It all depends on the learner that how much lessons he or she wants to take.
**Next to the piece, the page also holds data records:**
'''
Record 1
Structure and simulated X-ray diffraction stick pattern of ZrNp2S4 (a cell relaxed with GGA-PBE; a wavelength of 1.5418 Å).
Neutral-atom scattering factors, no anomalous dispersion.

Largest 12 diffraction maxima, most intense first, 10 to 80 degrees two-theta:
2θ 32.90, intensity 100; 2θ 16.54, intensity 73; 2θ 47.62, intensity 70; 2θ 28.10, intensity 55; 2θ 28.98, intensity 51; 2θ 33.45, intensity 48; 2θ 37.04, intensity 42; 2θ 22.56, intensity 36; 2θ 23.63, intensity 32; 2θ 55.34, intensity 19; 2θ 58.10, intensity 19; 2θ 46.05, intensity 19

Structure:
a = 6.652 Å, b = 6.652 Å, c = 3.765 Å
α = 90.00°, β = 90.00°, γ = 107.32°
Positions (direct):
Zr1 0.000 0.000 0.000
Np1 0.000 0.500 0.500
Np2 0.500 0.000 0.500
S1 0.236 0.236 0.500
S2 0.249 0.751 0.000
S3 0.751 0.249 0.000
S4 0.764 0.764 0.500


Record 2
Structure and simulated X-ray diffraction stick pattern of Ba2Zn2PbO6 (a cell relaxed with GGA-PBE; a wavelength of 1.5418 Å).
Neutral-atom scattering factors, no anomalous dispersion.

Largest 12 diffraction maxima, most intense first, 10 to 80 degrees two-theta:
2θ 43.06, intensity 100; 2θ 31.29, intensity 90; 2θ 23.00, intensity 85; 2θ 28.83, intensity 34; 2θ 55.70, intensity 27; 2θ 63.92, intensity 23; 2θ 39.19, intensity 22; 2θ 68.98, intensity 22; 2θ 50.98, intensity 21; 2θ 72.89, intensity 20; 2θ 47.73, intensity 13; 2θ 65.29, intensity 11

Structure:
a = 5.717 Å, b = 5.717 Å, c = 6.194 Å
α = 90.00°, β = 90.00°, γ = 120.00°
Positions (direct):
Ba1 0.333 0.667 0.499
Ba2 0.667 0.333 0.501
Zn1 0.333 0.667 0.999
Zn2 0.667 0.333 0.001
Pb1 0.000 0.000 0.000
O1 0.000 0.339 0.811
O2 0.000 0.661 0.189
O3 0.339 0.000 0.811
O4 0.339 0.339 0.189
O5 0.661 0.000 0.189
O6 0.661 0.661 0.811


Record 3
Structure and simulated X-ray diffraction stick pattern of Mg4Ga5Au2 (a cell relaxed with GGA-PBE; a wavelength of 1.5418 Å).
Neutral-atom scattering factors, no anomalous dispersion.

Largest 12 diffraction maxima, most intense first, 10 to 80 degrees two-theta:
2θ 28.74, intensity 100; 2θ 38.28, intensity 86; 2θ 15.14, intensity 72; 2θ 12.33, intensity 71; 2θ 40.20, intensity 56; 2θ 37.45, intensity 56; 2θ 39.68, intensity 48; 2θ 23.50, intensity 40; 2θ 41.24, intensity 40; 2θ 50.16, intensity 37; 2θ 48.54, intensity 35; 2θ 28.94, intensity 32

Structure:
a = 7.194 Å, b = 3.106 Å, c = 9.274 Å
α = 90.00°, β = 93.54°, γ = 90.00°
Positions (direct):
Mg1 0.176 0.000 0.389
Mg2 0.257 0.000 0.942
Mg3 0.743 0.000 0.058
Mg4 0.824 0.000 0.611
Ga1 0.185 0.500 0.656
Ga2 0.453 0.500 0.198
Ga3 0.500 0.500 0.500
Ga4 0.547 0.500 0.802
Ga5 0.815 0.500 0.344
Au1 0.075 0.500 0.149
Au2 0.925 0.500 0.851

* * * * *

Computed powder diffraction line list of K9Eu3Si12O32F2 for Cu Kα, 1.54184 Å, from a PBE-relaxed structure.
Kinematic intensities with the Lorentz-polarization factor, no thermal factor.

Crystal structure
```
K9Eu3Si12O32F2
1.0
6.9942 0.0000 0.0000
2.0452 11.4026 0.0000
0.0637 0.4387 11.6564
K Eu Si O F
9 3 12 32 2
Cartesian
0.0000 0.0000 0.0000 K
'''
How many lessons should you buy? Well it actually depends on the learning capability of the learner. Some learners pick the lecture instantly whereas other take a lot of time in understanding the lectures and lessons. If more lectures and lessons are given to the learner then obviously it will end up way more expensive. If the student driver manages to stay at a very low number of lessons, he can save a lot of money obviously. Apart from this there is another option available such as pay as you learn. This option is for the benefit of the learner. In this mode, the learner pays as he or she learns. The normal price starts from 55 dollars. This mode is also helpful for those people who find difficulty in paying the whole fee at once. Then there is another mode which is also designed for the benefit of the learners. This mode is known as the automatic mode. This mode has price or payment that starts normally from sixty dollars. There are different modes such as thirty log book hours and fifteen log book hours.
Apart from these modes there is another option available on the website that pre tests potential students. This option or mode also includes hiring a car for for the test. The payment or price mentioned on the website for this mode is one hundred and forty dollars. All these payments and lessons are made or designed in accordance with the rules and regulations. They are designed to meet the needs of the learners at the lowest possible cost. If we compare these payment with other driving Lessons Brisbane then we will come to know that they are not that much high. They are designed by keeping in mind the on going competition in between various driving schools. One important thing to keep in mind is that all these prices or payments are not fixed. Sometimes they are changed without giving a notice to the learner but this thing does not happens with the driving lessons Brisbane. If the prices are subjected to be changed by the institution then they give a notice to the learners almost one month earlier. Though, this change happens seldom but still it is mentioned in the policies agreement that is to be signed by the learner prior to submitting the fee for a particular package or plan.
However, whenever there is a change in the school's policy it is told to the learners immediately. Therefore, this thing indicates the commitment and dedication of the institute members with their esteemed learners. This also points out the attention of the learner towards an important task that is signing the agreement between the school and the learner. There are different things mentioned in the agreement that is to be signed by the learner before making payments and before taking classes. This agreement is mostly concerned about the rules and regulations of the schools and an important thing indicated in it is that if any damage to the property of the school is done by the student then the student is accountable for it.